KB 2021.4


Sun Within


Actual age > 40 years
Total increase
> 3*10=30 years
Feeling age
> 40+30=70 years

Estimated system end time > May,2021



When Women > Product
When Women
> Not Loved But Sold And Used
I don’t want to be like one of them
> Walking around without a soul

So it’s my time to say > Goodbye.



**Next to the entry, the page also holds molecular data**
1.
DFT (ωB97M-V/def2-TZVPD) results for a structure of composition C32H44BrN3P2Re in a non-equilibrium geometry.

ΔE to the lowest compared entry with this formula, charge and spin, kJ/mol: 0.0
E_LUMO (spin up / spin down), eV: -12.13 / -14.47
F_max, eV/Å: 6.96
E_HOMO (spin up / spin down), eV: -18.6 / -18.6

Geometry as ORCA input:
```
! RIJCOSX wB97M-V def2-TZVPD def2/J DEFGRID3
* xyz 4 4
C -1.96 2.33 -6.80
C -1.27 3.43 -6.20
C -0.88 4.45 -7.09
C -0.99 4.24 -8.49
N -1.52 3.13 -9.01
C -2.01 2.19 -8.21
C -0.91 3.28 -4.76
C -0.66 2.18 -4.07
C 0.03 1.36 -3.15
C -0.79 0.39 -2.41
C -0.19 -0.61 -1.70
C 1.28 -0.83 -1.71
C 2.01 -0.03 -2.73
C 1.44 0.97 -3.44
Re -0.60 3.39 -2.61
P -1.38 2.64 -0.33
H -0.46 5.39 -6.76
H -2.41 1.52 -6.22
H -0.65 4.99 -9.21
H -2.44 1.29 -8.69
H 1.91 1.43 -4.32
H -1.88 0.52 -2.43
H 3.09 -0.18 -2.88
H -0.77 -1.11 -0.92
C -0.61 2.51 1.41
C -0.95 3.60 2.43
H 0.47 2.45 1.27
H -0.90 1.52 1.82
H -0.54 3.33 3.41
H -0.52 4.57 2.16
H -2.03 3.74 2.56
C -2.30 4.24 -0.37
C -2.82 4.43 -1.80
H -1.63 5.06 -0.07
H -3.13 4.22 0.36
H -3.12 5.47 -1.94
H -2.08 4.38 -2.70
H -3.66 3.75 -2.01
C -2.71 1.37 0.02
C -3.73 1.70 1.10
H -2.19 0.43 0.28
H -3.21 1.18 -0.94
H -4.50 0.92 1.13
H -3.29 1.77 2.10
H -4.25 2.64 0.89
Br 1.44 -0.43 0.47
P 1.37 3.59 -1.60
C 1.27 4.85 -0.22
C 2.48 5.16 0.66
H 0.44 4.52 0.43
H 0.93 5.77 -0.73
H 2.24 6.01 1.31
H 2.77 4.34 1.33
H 3.35 5.46 0.08
C 2.49 2.40 -0.58
C 4.02 2.43 -0.68
H 2.14 1.39 -0.86
H 2.21 2.47 0.48
H 4.43 1.50 -0.25
H 4.36 2.50 -1.72
H 4.46 3.26 -0.09
C 2.55 4.23 -2.87
C 3.45 5.39 -2.48
H 1.88 4.52 -3.70
H 3.15 3.39 -3.26
H 3.90 5.80 -3.38
H 2.90 6.20 -2.00
H 4.29 5.09 -1.84
N 3.44 -3.46 -1.30
C 3.04 -2.44 -2.03
N 1.73 -2.20 -1.79
C 1.27 -3.19 -0.88
C 0.05 -3.37 -0.23
C 0.01 -4.38 0.75
C 1.15 -5.13 1.09
C 2.37 -4.92 0.42
C 2.38 -3.94 -0.54
H 4.39 -3.82 -1.29
H 3.72 -1.82 -2.59
H -0.83 -2.82 -0.53
H -0.94 -4.60 1.26
H 1.07 -5.89 1.87
H 3.28 -5.46 0.60
*
```

Atomic partial charges in e from the Mulliken method, atoms 1 to 8: -0.364 0.452 -0.316 -0.403 0.098 -0.446 -0.552 -1.409

2.
DFT (ωB97M-V/def2-TZVPD) results for the molecule C4H6N2.

ΔE to the lowest compared entry with this formula, charge and spin, kJ/mol: 46.6
E_LUMO, eV: 0.96
SMILES: Cc1ccn[nH]1
F_max, eV/Å: 0.28
E_HOMO, eV: -9.1

Geometry as ORCA input:
```
! RIJCOSX wB97M-V def2-TZVPD def2/J DEFGRID3
* xyz 0 1
C -1.73 -0.22 -0.03
C -0.25 -0.04 -0.05
C 0.80 -0.90 0.19
C 1.96 -0.09 0.12
N 1.66 1.17 -0.16
N 0.33 1.17 -0.26
H -2.18 0.44 0.73
H -2.20 0.02 -0.99
H -1.99 -1.25 0.23
H 0.74 -1.96 0.39
H 2.99 -0.37 0.27
H -0.14 2.04 -0.45
*
```

Atomic partial charges in e from the Mulliken method, atoms 1 to 8: -1.110 0.525 -0.360 -0.398 -0.849 0.303 0.298 0.297

3.
DFT (ωB97M-V/def2-TZVPD) results for a structure of composition C7H19BrNO3Sr in a non-equilibrium geometry.

E_LUMO, eV: -6.33
F_max, eV/Å: 2.00
E_HOMO, eV: -10.2

Geometry as ORCA input:
```
! RIJCOSX wB97M-V def2-TZVPD def2/J DEFGRID3
* xyz 1 1
Sr -3.31 -4.18 -0.66
Br -1.53 -3.08 1.39
**So much for the molecular data**

Combined Decision > Extinction of human lifeforms and planet earth is currently on track.




The relationship between genetic/genome code and collected data stored in our brain.

**Unrelated to this article: calculated molecules:**
- - -
DFT (the ωB97M-V functional and the def2-TZVPD basis) results for C7H11N in the gas phase.

Properties
* LUMO energy: 1.042 eV
* orbital gap: 9.1 eV
* HOMO: -8.012 eV
* structure (SMILES): CCc1c[nH]cc1C
* calculated total energy: -328.06083 hartree

Cartesian coordinates (Å):
C: 1.13002 -0.52029 -2.39283
C: 0.54967 -1.26994 -1.16122
C: 0.37620 -0.35580 0.04922
C: 0.76133 -0.67787 1.32005
N: 0.05856 0.10523 2.20378
C: -0.75066 0.94385 1.49862
C: -0.62610 0.67026 0.16443
C: -1.54713 1.09069 -0.93142
H: 2.07765 -0.98078 -2.69056
H: 0.47793 -0.58896 -3.25988
H: 1.46974 0.48527 -2.13663
H: 1.28254 -1.99494 -0.83956
H: -0.46551 -1.58443 -1.39254
H: 1.52925 -1.34230 1.68605
H: 0.28675 0.29831 3.16267
H: -1.35637 1.69897 1.96989
H: -2.55018 0.66791 -0.87270
H: -1.67824 2.17759 -0.97031
H: -1.16633 0.79853 -1.90891



DFT (the ωB97M-V functional and the def2-TZVPD basis) results for 2 unconnected molecules or ions with the total composition C7H11N2O2.

Properties
* LUMO energy: 0.959 eV
* total charge: -1
* orbital gap: 2.2 eV
* HOMO: -1.241 eV
* calculated total energy: -532.83049 hartree

Cartesian coordinates (Å):
C: 4.69260 -1.91216 0.70819
C: 3.58688 -1.78313 -0.27952
C: 2.00042 -1.53638 0.05364
C: 0.84786 -2.60418 0.62623
N: -0.39722 -1.74512 0.66953
C: -0.12416 -0.31070 0.17258
N: 1.35007 -0.16017 -0.19763
H: 5.26910 -2.95655 0.72295
H: 5.07014 -1.08836 1.44931
H: 3.86748 -1.91281 -1.43202
H: 0.99703 -3.73562 0.89647
H: -1.34566 -2.10486 0.96167
H: -0.89535 0.56289 0.06198
H: 1.84607 0.70698 -0.55720
O: -1.69504 2.56978 -1.13434
C: -2.75828 3.11456 -0.52571
C: -3.93347 2.03060 -0.43900
O: -5.00110 2.57973 0.15732
H: -3.20748 4.00382 -1.00232
H: -2.61270 3.47657 0.50735
H: -3.48595 1.14731 0.04969
H: -4.07124 1.65782 -1.46916



DFT (the ωB97M-V functional and the def2-TZVPD basis) results for 2 unconnected molecules or ions with the total composition C7H11N2O2.

Properties
* LUMO energy: 3.213 eV
* total charge: -1
* orbital gap: 6.6 eV
* HOMO: -3.430 eV
* calculated total energy: -533.35427 hartree

Cartesian coordinates (Å):
C: -3.47235 1.18614 -1.25779
C: -2.04450 1.45458 -0.66972
O: -1.99235 2.05283 0.43467
O: -1.09651 1.31549 -1.47884
H: -3.36957 0.27038 -1.83969
H: -3.74935 2.04316 -1.86335
H: -4.13450 1.05961 -0.40099
C: 0.20679 -0.92970 1.25164
C: -0.48711 -1.87796 0.27090
C: 1.46716 -0.34654 0.71746
C: 2.76513 -0.56821 1.09734
C: 2.65989 0.91383 -0.53751
N: 1.43517 0.53041 -0.31504
N: 3.52869 0.16622 0.21094
H: -0.50707 -0.11179 1.39304
H: 0.33165 -1.35730 2.25071
H: -0.86501 -1.28214 -0.56494
H: 3.25745 -1.24326 1.77688
H: 2.96550 1.40199 -1.45108
H: 4.52325 0.27705 0.30605
H: -1.42677 -2.17572 0.75965
H: 0.00442 -2.77909 -0.09033



DFT (the ωB97M-V functional and the def2-TZVPD basis) results for a gas-phase ion, C7H11N2O2 (charge +1).

Properties
* LUMO energy: -4.841 eV
* total charge: +1
* orbital gap: 8.7 eV
* HOMO: -13.507 eV
* structure (SMILES): C[N+](C)(C)N1C#CCOC1=O
* calculated total energy: -532.81824 hartree
- - -

Collected data stored in our brain includes Life experiences, gathered knowledge, situation handling, observation, interaction with others, intuition capability, emotional experiences, IQ capability and so on...

We know that genetic codes stored in our DNA is a very big dataset. There is trillions or even more lines of code and analyzing and understanding it could be very time consuming (years and years of work) and complex process for us. Let alone modifying or improving it. But nature (or our creator!) does it continuously and effortlessly for us and all of the living creatures of the earth. It seems to me that they have limitless processing capability which is beyond our imagination.

Anyway my point is that this gigantic set of data found in genetic codes is influenced by the datasets stored in our brain. It is not pre-defined and static. Instead this data sets stored in genetic codes dynamically changes as the amount of data stored in our brain changes.

One practical example of this process is that we often see that younger children from same parents is far more intelligent and efficient than their older brother or sister. It is because the time elapsed between their birth has changed the data stored in their parents brain which also dynamically changes genetic codes in their DNA. Although there are some exceptions and changes may not be so prominent in some cases.

If you throughly observed or analyzed my entire life then you may be wondering how I have survived in my life or how is it possible that I’m still alive? Well the answer is quite complex and I think that by the grace of God I have passed through all of them.

I believe that in order to create “Children-Dream Version” I had to pass through all of the test selected by the nature or our creator. In every case I had to take an “ideal position” determined by them against others and then they observed both mine and others action and reaction. From its result they

determine possible improvement or modification for that specific case. So to create a perfect dataset for “Children-Dream Version” I had to go through millions of cases or challenges in my entire life.

It was never a matter of unity for me like others. But actually quite opposite. Identifying the drawback or design issues or limitations that human being collectively make was my main job. This is how nature does evolution.

It took 40 years for me to create a complete datasets for Children-Dream Version. If its lost then there may not be enough time for another process to complete and extinction of human race could be unavoidable.

So what is the determination of this comprehensive and life long testing process? The answer isn’t quite simple. Besides trillions of improvement, enhancement and modification applied to “Children-Dream Version” our creator also want to determine the future course for human race.



The Evaluation of True Love:

I was a symbol of true love for many people in the world. During my lifetime I had several loved ones and some of them were so perfectly matched with me that many believed we will remain together till the end of our life. But that was not the case. All of them left my life after a certain stage of our relationship. Greed, financial reason, the desire for more, being afraid of the light in my soul made them disappear from my life before they reached final stage of the relationship. So none of them actually know what it is like to hold me close.

The determination of nature or our creator is that all of the test performed for the evaluation of true love failed. In reality true love is unsuccessful when we judge other factors such as wealth, power, hunger for sex and so on.

Another determination is that when sex exist without true love or any love at all, it destroys our soul. Current trend of relationship or marriage which is based on greed, money, power, physical attraction is harmful for human race. Children born from this process also creating problems as they are not emotionally compatible with their parents resulting separation when children growing personality after 9 or 10 years.

All animals do sex in this planet. But none of them engage in criminal,

corruption and evil activities like humans do just for sex. From murder to stealing others partner there is almost no criminal or evil activities in this world which is not directly or indirectly associated with our desire for sex.


The Result:

After the failure of the evaluation of true love and observing current sexual condition of human race, our creator or nature decided to limit human race to unisex species or extinct human race altogether.

The initiated extinction process not only depends on Corona crisis. But there are several other natural and man-made disaster can occur for this process to complete. Only “Children-Dream Version’’ will survive this extinction process. There will be no male survivor in the world.

Reproduction process will continue by replicating “Children-Dream Version” based on advanced scientific knowledge and Clone Genetic Model. Result will be that all women will look and feel same. They will also think alike.

A world full of beautiful and extremely intelligent women.
No crime. No war, No fighting with each other. We, the Men will only exist in photos and videos as a history.

*If you can’t believe this then please ignore it. It is written here for records. **Advanced Simulation Probability Model used in some cases to determine outcome.
***Portions contains confidential work and cannot be published.



OpenLab Morning Vol.1


Received Instruction > Protect women’s interest, not thief’s interest. Even if some women can’t understand it, continue your job till end.


Usually thieves rent women to satisfy their hunger for sex. Now they are renting women to humiliate me.
At least I’ve made them to pause sexually abusing women.



The Weather Subsystem:

Changes in weather subsystem includes but not limited to sunshine or cloudy environment, rain or dry environment, cold or hot environment, snow or no snow and so on....

Our observation and experience suggests that changes in weather subsystem is influenced by the Mass Public Realization Factor of the adjacent area.

> When Mass Public Realization Factor of an area increases then weather subsystem of that particular area changes from extreme condition to tolerable or comfortable environment.

> When Mass Public Realization Factor of an area decreases due to

deceptive measures or some anomaly then weather subsystem of that particular area changes from tolerable to extreme/intolerable condition.

> When Mass Public Realization Factor of an area remains unchanged for a long time after reaching a certain level or when the Mass Public Realization Factor is capped due to limitations in human brain applied by nature (or our creator) to protect their secrets then weather subsystem of that particular area could remain extreme and intolerable for a very long time.

Weather subsystem operates globally. It collects data from trillions or even more sources (or human minds) in every milliseconds from entire world to determine Mass Public Realization Factor of billions of areas of the world and apply relevant weather condition for each of the area based on the above rules. All process done simultaneously and in real time.


Future Aspects:

So we can see that it is us, the humans who are mainly responsible for the weather condition of our respective areas.

In the future “Children-Dream Version” will be able to maintain a direct link to the core of nature and control the weather subsystem.

When all of them thinks that it should be raining in their adjacent area then it will rain there. When all of them thinks that the weather should be cooler then the temperature will decrease. Remember that “Children-Dream Version” will look and think alike. So it should not be a problem for them to think collectively.

*Part of a much larger knowledge base.
**Allowed portion published. All elements can not be published.


Communication Freedom

37 access or nothing.

Not a Bangladeshi

27 or 287


End of KB
